Chapter 16 - Theo

Start from the beginning

He dodged them with lightning-fast reactions – faster than my own heightened sensitivity could decipher; he became a blur as he darted away from Ember's fire and entrapped her in his arms again.

'''
No. 1
9
Lattice="8.126 -0.113 -0.164 -3.958 7.098 0.164 -3.958 -2.374 6.691" Properties=species:S:1:pos:R:3 comment="Cs2ThBr5Cl, relaxed, DFT GGA-PBE" crystal_system=tetragonal final_energy_ev_per_atom=-4.042 sg="I4mm, No. 107" raw_formation_energy_ev_per_atom=-1.893 m_tot_mub_per_fu=0.00 pbc="T T T"
Cs 0.120 -0.071 4.965
Cs 0.120 4.665 1.701
Th -7.895 4.712 6.837
Br 2.076 1.111 1.612
Br -1.849 3.490 5.065
Br -3.950 4.744 1.776
Br -3.950 -0.030 5.065
Br -1.943 1.159 1.683
Cl -6.055 3.614 5.244

***

No. 2
9
Lattice="6.365 -0.632 -0.430 0.680 7.897 0.650 0.680 3.504 7.106" Properties=species:S:1:pos:R:3 comment="Cs2ThBr2Cl4, relaxed, DFT GGA-PBE" crystal_system=monoclinic final_energy_ev_per_atom=-4.266 sg="C2/m, No. 12" raw_formation_energy_ev_per_atom=-2.060 m_tot_mub_per_fu=0.00 pbc="T T T"
Cs 2.380 7.383 5.023
Cs 5.345 3.386 2.304
Th 3.182 -0.316 -0.215
Br 1.933 1.821 1.239
Br 5.792 8.948 6.088
Cl 2.247 5.743 1.542
Cl 5.477 7.226 2.551
Cl 5.477 5.026 5.785
Cl 2.247 3.543 4.776

***

No. 3
10
Lattice="8.270 0.000 0.000 0.000 8.270 0.000 4.135 4.135 5.162" Properties=species:S:1:pos:R:3 comment="Cs2TiBrCl6, relaxed, DFT GGA-PBE" crystal_system=tetragonal final_energy_ev_per_atom=-3.740 sg="I4/mmm, No. 139" raw_formation_energy_ev_per_atom=-1.505 m_tot_mub_per_fu=0.00 pbc="T T T"
Cs 8.270 4.135 2.581
Cs 4.135 8.270 2.581
Cl 4.135 4.135 2.392
Cl 8.270 8.270 2.769
Cl 2.472 2.472 0.000
Cl 5.798 5.798 0.000
Cl 5.798 2.472 0.000
Cl 2.472 5.798 0.000
Br 0.000 0.000 0.000
Ti 4.135 4.135 0.000

***

No. 4
9
Lattice="7.782 -0.142 -0.206 -3.820 6.781 0.206 -3.820 -2.222 6.410" Properties=species:S:1:pos:R:3 comment="Cs2TiBr5Cl, relaxed, DFT GGA-PBE" crystal_system=tetragonal final_energy_ev_per_atom=-3.768 sg="I4mm, No. 107" raw_formation_energy_ev_per_atom=-1.567 m_tot_mub_per_fu=0.00 pbc="T T T"
Cs 0.081 -0.048 4.747
Cs 0.081 4.453 1.645
Ti -7.617 4.545 6.596
Br 1.853 0.987 1.432
Br -1.688 3.417 4.958
Br -3.809 4.682 1.638
Br -3.809 -0.137 4.958
Br -1.730 1.032 1.498
Cl -5.999 3.580 5.195

***

No. 5
10
Lattice="8.000 0.000 0.000 0.000 8.000 0.000 4.000 4.000 6.020" Properties=species:S:1:pos:R:3 comment="Cs2TiBr6Cl, relaxed, DFT GGA-PBE" crystal_system=tetragonal final_energy_ev_per_atom=-3.381 sg="I4/mmm, No. 139" raw_formation_energy_ev_per_atom=-1.232 m_tot_mub_per_fu=1.00 pbc="T T T"
Cs 8.000 4.000 3.010
Cs 4.000 8.000 3.010
Cl 4.000 4.000 0.000
Br 4.000 4.000 3.499
Br 8.000 8.000 2.521
Br 1.793 1.793 0.000
Br 6.207 6.207 0.000
Br 6.207 1.793 0.000
Br 1.793 6.207 0.000
Ti 0.000 0.000 0.000

***

No. 6
9
Lattice="-3.669 -1.751 -5.202 -5.677 -0.175 5.100 -3.938 6.317 1.689" Properties=species:S:1:pos:R:3 comment="Cs2TiBr4Cl2, relaxed, DFT GGA-PBE" crystal_system=monoclinic final_energy_ev_per_atom=-3.822 sg="C2/m, No. 12" raw_formation_energy_ev_per_atom=-1.601 m_tot_mub_per_fu=0.00 pbc="T T T"
Cs -7.310 3.578 3.085
Cs -5.974 0.813 -1.498
Ti -1.834 -0.875 -2.601
Br -5.401 0.368 2.292
Br -8.790 0.636 1.075
Br -7.883 4.023 -0.705
Br -4.494 3.755 0.512
'''

"Let's see how you like a taste of your own medicine." Killian grasped at Ember's flaming hands and stifled her mouth with them, before forcing her head back under the water – meaning she was being consumed by both the water and the fire.

Almost as if the two elements are taking over her body.

It finally clicked in my head as I sat there speechless and helpless. Because before I knew it, she was drowning with fire. It seemed impossible, and yet it was happening right in front of my eyes; Killian was drowning her with her own fire and the waters of the lake she'd lived by throughout her entire life.

Almost like fate.

Killian released Ember and rolled her over; confusion and horror overcoming me as I saw that the skin around her mouth had blistered due to her fire. Ember had never been harmed by her fire, or any fire, before now. She lay weakened but still breathing; excess water rolling out of her mouth.

From his pocket, Killian took a vial and dipped it into the water that had turned a dark, charred colour – the water where Ember had been drowning. He smirked and tucked it away again.

"Now I no longer need you, Ember." He gathered her up in his arms again, claws lengthening out of his fingernails – claws that were much sharper and much more pointed than my own. Claws that were jet black. One hand wrapped around Ember's neck, the other poised against her bare stomach.

"Theo..." She regained consciousness momentarily, her eyes brimming with tears.

"Killian, wait–" I was too late.

He slashed her throat and stomach open; tearing deep, gaping wounds into her faded olive skin. The barrier surrounding me finally dissolved as Killian gave her one last pitiful look and walked away.

"Ember!" I rushed forwards to cradle her, propping her head up against my arm, closing my hand around her bleeding throat and wrapping an arm around her bleeding stomach – a futile attempt.

Here the article breaks off for data records
[1]
First-principles (SCAN) data for a PBEsol-optimized structure of ZrAs2Ru, as listed in Alexandria. Values from VASP.

Quantum ESPRESSO input file:
```
&SYSTEM
  ibrav = 0, nat = 4, ntyp = 3
/
ATOMIC_SPECIES
As 74.92 As.upf
Ru 101.07 Ru.upf
Zr 91.22 Zr.upf
ATOMIC_POSITIONS angstrom
As 0.0000 0.0000 4.8612
As 0.0000 0.0000 1.8371
Ru 1.3018 1.5574 3.3492
Zr 1.3018 1.5574 0.0000
CELL_PARAMETERS angstrom
3.1266 0.0322 0.0000
-0.5230 3.0827 0.0000
0.0000 0.0000 6.6983
```

Calculated values
Density: 8.78 Mg/m³
E above lowest polymorph: 0.3099 eV per atom



[2]
First-principles (SCAN) data for a PBEsol-optimized structure of NaLiBr2, as listed in Alexandria. Values from VASP.

Quantum ESPRESSO input file:
```
&SYSTEM
  ibrav = 0, nat = 4, ntyp = 3
/
ATOMIC_SPECIES
Br 79.90 Br.upf
Li 6.94 Li.upf
Na 22.99 Na.upf
ATOMIC_POSITIONS angstrom
Br 0.8116 -7.6458 5.1832
Li 0.0000 0.0000 0.0000
Na 0.5411 -5.0972 3.4555
Br 0.2705 -2.5486 1.7277
CELL_PARAMETERS angstrom
-1.9964 -2.6151 3.8278
0.0718 -5.0462 -0.0823
3.0067 -2.5331 3.1654
```

Calculated values
Density: 3.47 Mg/m³
Formation energy from raw total energies: -1.498 eV per atom
E above lowest polymorph: 0.1826 eV per atom



> What is the formula in the first record?

ZrAs2Ru



> Number 2 is which compound?

NaLiBr2

* * * * *

1.
Density functional theory data (PBE) for an optimized crystal structure of Cs2HfSiBi.

```
5
Lattice="6.8990 0.0000 0.0000 0.0000 6.8990 0.0000 0.0000 0.0000 5.0597" Properties=species:S:1:pos:R:3 pbc="T T T"
Cs 0.0000 3.4495 0.0000
Cs 3.4495 0.0000 0.0000
Hf 0.0000 0.0000 2.5298
Si 0.0000 0.0000 0.0000
Bi 3.4495 3.4495 2.5298
```

Output
M_tot (μB/cell): 0.00
Raw formation energy (kcal/mol of atoms): 16.89

2.
Density functional theory data (PBE) for an optimized crystal structure of Cs3HfBi2Te6.

```
12
Lattice="4.0090 -6.9588 0.0000 4.0090 6.9588 0.0000 -2.6742 0.0000 8.7198" Properties=species:S:1:pos:R:3 pbc="T T T"
Cs 0.0000 0.0000 0.0000
Cs 4.0090 2.4259 0.0000
Cs 4.0090 -2.4259 0.0000
Hf 2.6719 0.0000 4.3599
Bi 2.6719 4.6523 4.3599
Bi 2.6719 -4.6523 4.3599
Te 1.4389 2.1421 2.7648
Te 0.2124 0.0000 5.9827
Te 1.4389 -2.1421 2.7648
Te 3.9050 2.1421 5.9550
Te 5.1314 0.0000 2.7370
Te 3.9050 -2.1421 5.9550
```

Output
M_tot (μB/cell): 0.38
Raw formation energy (kcal/mol of atoms): -15.90

3.
Density functional theory data (PBE) for an optimized crystal structure of CsHfTl2Bi.

```
5
Lattice="5.8200 0.0000 0.0000 0.0000 5.8200 0.0000 0.0000 0.0000 5.7041" Properties=species:S:1:pos:R:3 pbc="T T T"
Cs 0.0000 0.0000 0.0000
Hf 2.9100 2.9100 2.8520
Tl 0.0000 2.9100 2.8520
Tl 2.9100 0.0000 2.8520
Bi 2.9100 2.9100 0.0000
```

Output
M_tot (μB/cell): 0.00
ΔH_f (0 K) (eV per atom): 0.0037

4.
Density functional theory data (PBE) for an optimized crystal structure of Cs2HgBi2.

```
10
Lattice="6.5417 -2.9189 0.0000 6.5417 2.9189 0.0000 -5.8598 0.0000 11.5012" Properties=species:S:1:pos:R:3 pbc="T T T"
Cs -1.1839 0.0000 4.4257
Cs -0.5700 0.0000 9.3502
Cs 7.7936 0.0000 2.1510
The data records stop here

"Theo..." She shook her head at me slightly, tears tracing silvery tracks down her ashy face. ""

I did know what to do in the event of her death, but that didn't mean that I was at all ready to have to do it.

"Ember, please, no. Just hold on, okay? Hold on." I tried not to look at her wounds, at how bad they were. I could only try stem the blood flow, but I knew she was losing too much too quickly. "Help! Somebody please, help!"

The entry is interrupted by data records
BeBrF2 PBE optimized geometry; electronic total energy = -34.92 eV/cell; total magnetic moment = 2.00 μB/cell; relative energy among the computed polymorphs = 0 meV per atom; formation energy (no corrections) = -8.32 eV per formula unit; density = 3.99 g/cm³
1.0
0.0000 3.7534 3.7534
3.7534 0.0000 3.7534
3.7534 3.7534 0.0000
Be Br F
2 2 4
direct
0.1250 0.1250 0.1250
0.8750 0.8750 0.8750
0.3750 0.3750 0.3750
0.6250 0.6250 0.6250
0.0000 0.0000 0.0000
0.0000 0.0000 0.5000
0.0000 0.5000 0.0000
0.5000 0.0000 0.0000

~~~~~

VASP calculation (PBE-GGA) on an optimized crystal structure of V2PbSe.

Cell lengths 4.6046, 4.6046, 4.6046 Å; angles 60.00, 60.00, 60.00 degrees
With the nearest neighbours (Å) after each atom.
Element x y z (fractional)
Pb 0.5000 0.5000 0.5000  8 V 2.82
Se 0.0000 0.0000 0.0000  8 V 2.82
V 0.7500 0.7500 0.7500  4 Pb 2.82, 4 Se 2.82
V 0.2500 0.2500 0.2500  4 Pb 2.82, 4 Se 2.82

Output
SG   Fm-3m (225)
E above lowest polymorph   15 kJ/mol of formula units
Total DFT energy (no corrections)   -5.98 eV/atom

VASP calculation (PBE-GGA) on an optimized crystal structure of TlAgMo2.

Cell lengths 2.8237, 2.8237, 9.1541 Å; angles 90.00, 90.00, 100.27 degrees
With the nearest neighbours (Å) after each atom.
Element x y z (fractional)
Tl 0.5000 0.5000 0.2500  4 Tl 2.82, 4 Mo 2.97
Mo 0.0000 0.0000 0.9930  4 Mo 2.82, 4 Ag 2.87-3.11, 2 Tl 2.97
Mo 0.0000 0.0000 0.5070  4 Mo 2.82, 4 Ag 2.87-3.11, 2 Tl 2.97
Ag 0.5000 0.5000 0.7500  4 Ag 2.82, 8 Mo 2.87-3.11

Output
SG   Cmmm (65)
E above lowest polymorph   127 kJ/mol of formula units
Total DFT energy (no corrections)   -5.95 eV/atom

VASP calculation (PBE-GGA) on an optimized crystal structure of TaFe2N2.

Cell lengths 6.3921, 6.3921, 2.9512 Å; angles 90.00, 90.00, 90.00 degrees
With the nearest neighbours (Å) after each atom.
Element x y z (fractional)
N 0.2200 0.2800 0.5000  2 Fe 1.74
N 0.2800 0.7800 0.5000  2 Fe 1.74
N 0.7200 0.2200 0.5000  2 Fe 1.74
N 0.7800 0.7200 0.5000  2 Fe 1.74
Ta 0.5000 0.5000 0.0000  4 Fe 2.56, 8 N 2.71
Ta 0.0000 0.0000 0.0000  4 Fe 2.56, 8 N 2.71
Fe 0.3819 0.8819 0.0000  2 N 1.74
Fe 0.1181 0.3819 0.0000  2 N 1.74
Fe 0.6181 0.1181 0.0000  2 N 1.74
Fe 0.8819 0.6181 0.0000  2 N 1.74

Output
SG   P4/mbm (127)
E above lowest polymorph   275 kJ/mol of formula units
Total DFT energy (no corrections)   -8.36 eV/atom

~~~~~

Below is a relaxed Na2Zn5Au12 crystal, with properties calculated at the PBE level.

Computed properties:
* Fermi-level density of states: 0.233 states/eV per atom
* formation energy: -0.20 eV/atom
* density: 12.56 g/cm3
* total magnetic moment: 0.000 μB/f.u.

abc: 7.1836 7.1836 7.1836
angles: 82.43 82.43 82.43
Sites, in units of the cell vectors:
Au 0.0000 0.6877 0.3123
Au 0.6877 0.0000 0.3123
Au 0.3123 0.0000 0.6877
Au 0.6877 0.3123 0.0000
Au 0.6683 0.6683 0.1318
Au 0.6683 0.1318 0.6683
Au 0.3123 0.6877 0.0000
Au 0.0000 0.3123 0.6877
Au 0.3317 0.8682 0.3317
Au 0.1318 0.6683 0.6683
Au 0.8682 0.3317 0.3317
Au 0.3317 0.3317 0.8682
Na 0.3531 0.3531 0.3531

"It's...over..." Ember gasped out in between words, blood bubbling up into her mouth and tainting her lips and teeth.

Tears choked my throat; I didn't think I'd have to watch her die again. Not so soon after the hunters in Montana. The matter of her rebirth paled into insignificance. Because she was lying in my arms and dying and there was nothing that I could do.

What if she's dying for real and she won't come back? What if she could only be reborn once? What if she dies and she's gone forever?

"It's...okay..." She nodded, tears drying as she stared up at me.

I let out a broken sob, pressing a kiss to her forehead.

"L-love...y-you." She gasped out, words failing her as her blood leaked out and mingled with Lake Oldoy's cursed waters.

"I t-too." I managed to get out as my throat closed up with tears and heartbreak.

I held her as she died. As her heart stopped beating. I slid her eyes shut. I held her as her body burned hot and bright before crumbling into ashes.

Drowning with Fire #3 ✔Where stories live. Discover now